My whole life I’ve had to fight to fall asleep. During some seasons I will lay awake for a couple hours, my mind spinning faster and faster until I finally pass out. During other periods of my life, whether from stress, anxiety, excitement, or just no good reason at all, the couple of hours turns into days where my body does not let me sleep. When I was away at Cambridge working on my Master’s degree, one of those seasons hit me. I tried watching a movie, reading a book, listening to quiet music, praying, taking sleeping aids, drinking tea, listening to scripture… but nothing worked. No matter how tired I was, as soon as the lights went off, I was fully awake.
I begged and pleaded with God. I offered, as you do in situations when you’re desperate and delirious, all kinds of things. I’d read the Bible more, pray more, give up chocolate, give up Netflix, anything if he’d let me sleep. For a long time he didn’t answer me. And when he did, it wasn’t straightforward. As I lay awake in the dark, he brought a specific song to my head and told me to recite the lyrics. So in my head, I sang the lyrics to Sherri Youngward’s song “Peace.”
Peace, be still,
Lay all your worries down.
Be still, oh my soul
For our God is in control
And if God is for us
Then whom shall I fear?
And our God is for us
So lay down, be still
He is God.
Before I could finish the song, I fell asleep. And for months afterwards, after I tossed and turned for hours, I’d sing that song in my head, and would never make it to the end before I fell asleep.
### Materials data, as found in the file
<<<
Here is a relaxed structure of EuNi2Sb2 from the Materials Project. Energies are from PBE.

Results
DFT formation energy   -0.627 eV per atom
MP2020-corrected energy   -33.2 eV per formula unit
Mass density   8.18 g/cm3

abc: 4.3947 4.3947 6.2214
angles: 110.68 110.68 90.00
Fractional positions:
Sb: 0.3630 0.3630 0.7259
Sb: 0.6370 0.6370 0.2741
Ni: 0.2500 0.7500 0.5000
Ni: 0.7500 0.2500 0.5000
Eu: 0.0000 0.0000 0.0000

* * * * *

[1]
# PBE TbCuPbSe3, optimized geometry
# Energy relative to the elements ... -119.8 kJ/mol of atoms
# VASP energy ... -4.828 eV/atom
data_TbCuPbSe3
_chemical_formula_sum 'Tb4 Cu4 Pb4 Se12'
_symmetry_space_group_name_H-M 'P n m a'
_symmetry_Int_Tables_number 62
_symmetry_space_group_name_Hall '-P 2ac 2n'
_cell_length_a 10.679
_cell_length_b 4.070
_cell_length_c 13.640
_cell_angle_alpha 90.00
_cell_angle_beta 90.00
_cell_angle_gamma 90.00
loop_
_atom_site_label
_atom_site_fract_x
_atom_site_fract_y
_atom_site_fract_z
Tb1 0.014 0.250 0.242
Cu1 0.242 0.250 0.719
Pb1 0.225 0.750 0.504
Se1 0.052 0.250 0.614
Se2 0.083 0.750 0.104
Se3 0.240 0.750 0.828

---

[2]
# PBE Na4Zr2In2Si3S3O24, optimized geometry
# Energy relative to the elements ... -247.9 kJ/mol of atoms
# VASP energy ... -6.749 eV/atom
data_Na4Zr2In2Si3S3O24
_chemical_formula_sum 'Na12 Zr6 In6 Si9 S9 O72'
_symmetry_space_group_name_H-M 'P 1'
_symmetry_Int_Tables_number 1
_symmetry_space_group_name_Hall 'P 1'
_cell_length_a 9.100
_cell_length_b 9.103
_cell_length_c 23.228
_cell_angle_alpha 89.15
_cell_angle_beta 89.83
_cell_angle_gamma 60.16
loop_
_atom_site_label
_atom_site_fract_x
_atom_site_fract_y
_atom_site_fract_z
Na1 0.000 0.000 0.000
Na2 0.004 0.322 0.401
Na3 0.281 0.008 0.488
Na4 0.300 0.670 0.578
Na5 0.310 0.664 0.065
Na6 0.334 0.331 0.662
Na7 0.626 0.333 0.146
Na8 0.630 0.999 0.739
Na9 0.657 0.991 0.226
Na10 0.670 0.677 0.309
Na11 0.959 0.657 0.830
Na12 0.984 0.352 0.911
Zr1 0.306 0.695 0.217
Zr2 0.307 0.673 0.721
Zr3 0.628 0.018 0.388
Zr4 0.641 0.019 0.893
Zr5 0.962 0.353 0.055
Zr6 0.996 0.340 0.559
In1 0.303 0.672 0.424
In2 0.324 0.642 0.927
In3 0.642 0.008 0.595
In4 0.662 0.988 0.091
In5 0.988 0.325 0.254
In6 0.992 0.341 0.756
Si1 0.278 0.038 0.657
Si2 0.302 0.972 0.328
Si3 0.313 0.370 0.822
Si4 0.351 0.309 0.493
Si5 0.644 0.303 0.997
Si6 0.689 0.636 0.163
Si7 0.945 0.709 0.987
Si8 0.971 0.050 0.156
Si9 0.973 0.643 0.661
S1 0.013 0.672 0.326
S2 0.019 0.968 0.825
S3 0.276 0.341 0.159
S4 0.350 0.007 0.992
S5 0.605 0.672 0.824
S6 0.606 0.380 0.326
S7 0.647 0.709 0.490
S8 0.688 0.343 0.659
S9 0.936 0.009 0.491
O1 0.005 0.509 0.607
O2 0.006 0.135 0.099
O3 0.101 0.688 0.275
O4 0.111 0.646 0.379
O5 0.113 0.855 0.774
O6 0.114 0.863 0.489
O7 0.118 0.897 0.878
O8 0.123 0.713 0.983
O9 0.137 0.358 0.823
O10 0.141 0.859 0.164
O11 0.146 0.163 0.321
O12 0.159 0.637 0.662
O13 0.164 0.125 0.596
O14 0.166 0.311 0.494
O15 0.167 0.365 0.109
O16 0.180 0.164 0.994
O17 0.185 0.162 0.710
O18 0.204 0.319 0.214
O19 0.270 0.503 0.874
O20 0.284 0.891 0.390
O21 0.295 0.495 0.164
>>>
So then, what of peace? And what is peace?
At his birth Jesus Christ is called the Prince of Peace, and yet it seems to me that his stay on earth was anything but peaceful. Crowds accompanied him wherever he went, he was followed by those seeking healing, and confronted by those wanting to trap him in his words. He was constantly teaching wisdom, performing extravagant miracles, and sometimes was moved to righteous anger. At first glance, to me anyways, this does not look like Peace. And yet, in every situation, Jesus takes disarray, pain, and chaos and realigns it into order, truth, righteousness, and justice. He creates wholeness where there was fracture. Wholeness.
“Peace I leave with you,” he says. “My peace I give to you.”
This word for peace in Greek is eiréné, but is believed to be derived from the root eirō, which means “to join, tie together into a whole" or, wholeness. It is “when all essential parts are joined together.” It is “God’s gift of wholeness.”
So then, with this definition in mind, what of peace? What is peace? This reflection is what I leave you with this Christmas:

Peace is neither apathy, nor ignorance. It is not a content born of satisfaction with the way things are, but rather a submission to His Kingship over our lives. Peace is unaltered by the moving and shaking of the world, even in the midst of suffering. It is to know, as Lady Julian of Norwich so famously wrote, that all is well, and all will be well. It is a deep quietness of the soul. It is to trust. It is to rest. And in that trusting and resting to be joined together with Him, and in joining with Him, in binding ourselves to His holiness, to finally become whole.
May we accept the gift of peace you freely offer. May we trust in your Lordship over our lives and over the world around us. May we submit our rebellious nature to your goodness and authority, bind our souls to you, and find wholeness. For really, that is what you came for. You are the Prince of Peace.
1. John 14:27
2. Strong, James. “1515. Eiréné.” Strong’s Concordance. Abdingdon Press, 1890. Bible Hub, https://biblehub.com/greek/1515.htm.
3. Norwich, Julian. Revelations of Divine Love. Translated by Clifton Wolters. London, Penguin, 1966.
This image of peace is so powerful: “…to be joined together to be made whole.” I am seeing myself offering incomplete parts to be joined with his completeness. Thank u!!